Car documents and taxes in the Netherlands
Are you planning on driving a car in the Netherlands? Whether you import your vehicle from abroad or plan to get a new car, there are various steps you must take.
Bringing Your Car from Abroad
If you’re moving from abroad and want to import your car, the process is fairly easy if you follow these tips.
The first thing to do is hire a car shipper. Shippers will know how to navigate customs and import laws in the Netherlands. There are two ways to ship your vehicle that are most common: ‘roll-on/roll-off’ (RORO) and container shipping.
RORO involves parking your vehicle on a ship and securing it in place for the voyage. Though this is the cheaper option, the downside is that your vehicle will be exposed to wind and water.
Container shipping is more expensive, but your vehicle will be safe and secure from the elements. This option is also convenient as you can load personal goods alongside your vehicle, such as home furnishings.
Registering Your Vehicle
Car ownership in the Netherlands comes with a range of responsibilities. For a start, you must ensure you have the right vehicle registration documents. All vehicles in the Netherlands must be registered. Once your car is in the Netherlands, you will need to register it with the RDW (Rijksdienst voor het Wegverkeer) and get a Dutch licence plate. The procedure for getting your licence plate differs on whether you’re moving from within or outside the EU.
Check the RDW website to see what steps to follow
You will also have to register your vehicle if you’re buying a new (or used) car after you’ve arrived.
Before registering your car in the Netherlands, you will need to pay BPM (belasting van personenauto’s en motorrijwielen). This is a one-off tax that must be paid when a vehicle is registered in the Netherlands for the first time. BPM is based on CO2 emission for cars and net list price for vans or motorcycles.
To begin, your vehicle must be approved for use in the Netherlands by the Vehicle Technology and Information Centre, which is part of the RDW. Submit your vehicle for testing to an approved RDW centre along with your documentation, including the registration certificate and a certificate of conformity to EU standards (if necessary).
When you receive the BPM certificate of approval, send it to the Tax Office (Belastingdienst). They will then calculate the amount of payable tax, including the BOM and any VAT/import duties. Once all your fees are paid, you will receive your Dutch vehicle registration certificate (kentekenbewijs).
If you’re bringing your vehicle from abroad, you generally do not have to pay import taxes. If you meet the required conditions, you will be able to apply for a permit with Dutch Customs to import your car with a foreign registration number tax-free.
Motor Vehicle Tax (MRB)
Everyone who owns a vehicle in the Netherlands must pay the motor vehicle tax (MRB, motorrijtuigenbelasting). The amount you pay depends on these factors:
- weight
- fuel and type of car
____________
BaY2AlW at its PBEsol-relaxed geometry, computed with SCAN.

**Crystal system**: tetragonal
**SG**: P4/mmm, No. 123
**Energy of formation from the pure elements**: 2.00 eV per atom

Cell: 5.0056 5.4460 5.4460 Å, 90.00 90.00 90.00°
With the nearest neighbours (Å) after each atom.
Element x y z (fractional)
Y (0.0000, 0.0000, 0.5000)  2 Ba 2.72
Y (0.0000, 0.5000, 0.0000)  2 Ba 2.72
Ba (0.0000, 0.0000, 0.0000)  2 W 2.50, 4 Y 2.72
W (0.5000, 0.0000, 0.0000)  2 Ba 2.50
Al (0.5000, 0.5000, 0.5000)  8 Y 3.70, 4 W 3.85

***

Ba2YAl at its PBEsol-relaxed geometry, computed with SCAN.

**Crystal system**: trigonal
**SG**: R3m, No. 160
**Energy of formation from the pure elements**: 0.14 eV per atom

Cell: 3.8819 3.8819 11.9363 Å, 80.64 80.64 60.00°
With the nearest neighbours (Å) after each atom.
Element x y z (fractional)
Y (0.5174, 0.5174, 0.4478)  3 Al 3.06
Ba (0.9817, 0.9817, 0.0549)  3 Al 3.38
Ba (0.7577, 0.7577, 0.7268)  6 Ba 3.88, 3 Y 3.97
Al (0.2432, 0.2432, 0.2705)  3 Y 3.06, 3 Ba 3.38

***

BaAl2Zn at its PBEsol-relaxed geometry, computed with SCAN.

**Crystal system**: monoclinic
**SG**: P2/m, No. 10
**Energy of formation from the pure elements**: -0.04 eV per atom

Cell: 3.2465 4.2647 7.0912 Å, 90.00 102.44 90.00°
With the nearest neighbours (Å) after each atom.
Element x y z (fractional)
Zn (0.0000, 0.5000, 0.5000)  4 Al 2.57
Ba (0.5000, 0.5000, 0.0000)  2 Ba 3.25, 8 Al 3.50-3.55, 2 Zn 3.57
Al (0.8275, 0.0000, 0.6699)  2 Zn 2.57, 2 Al 2.85-2.87
Al (0.1725, 0.0000, 0.3301)  2 Zn 2.57, 2 Al 2.85-2.87

***

Ba3AlZn at its PBEsol-relaxed geometry, computed with SCAN.

**Crystal system**: cubic
**SG**: Pm-3m, No. 221
**Energy of formation from the pure elements**: 0.24 eV per atom

Cell: 6.1413 6.1413 6.1413 Å, 90.00 90.00 90.00°
With the nearest neighbours (Å) after each atom.
Element x y z (fractional)
Zn (0.0000, 0.0000, 0.0000)  6 Ba 3.07
Ba (0.0000, 0.5000, 0.0000)  2 Zn 3.07
Ba (0.0000, 0.0000, 0.5000)  2 Zn 3.07
Ba (0.5000, 0.0000, 0.0000)  2 Zn 3.07
Al (0.5000, 0.5000, 0.5000)  12 Ba 4.34

***

BaAlZn2 at its PBEsol-relaxed geometry, computed with SCAN.

**Crystal system**: monoclinic
**SG**: Cm, No. 8
**Energy of formation from the pure elements**: -0.23 eV per atom

Cell: 4.3439 4.3226 6.5218 Å, 109.55 90.00 120.16°
With the nearest neighbours (Å) after each atom.
Element x y z (fractional)
Zn (0.9426, 0.8851, 0.8276)  3 Zn 2.52, 3 Al 2.70-2.72
Zn (0.2584, 0.5167, 0.7744)  3 Zn 2.52, 3 Al 2.60-2.61
Ba (0.7485, 0.4970, 0.2467)  4 Al 3.49-3.58, 7 Zn 3.49-3.79
Al (0.5505, 0.1011, 0.6513)  6 Zn 2.60-2.72

***

BaAlZn2 at its PBEsol-relaxed geometry, computed with SCAN.

**Crystal system**: trigonal
**SG**: R-3m, No. 166
**Energy of formation from the pure elements**: -0.24 eV per atom

Cell: 4.3833 4.3881 6.3597 Å, 110.13 90.00 119.96°
With the nearest neighbours (Å) after each atom.
Element x y z (fractional)
Zn (0.6980, 0.3959, 0.5936)  3 Al 2.59, 3 Zn 2.76
Zn (0.3020, 0.6041, 0.4064)  3 Al 2.59, 3 Zn 2.76
____________
So much for the crystal structures
- in which province the owner of the vehicle lives
The motor vehicle tax rate tool (in Dutch) will help you determine how much your tax will be. It will also tell you which types of fuel-efficient vehicles are exempt from paying the tax.
Bijtelling – Private Use of Company Cars
If you are leasing a car from your employer, but also use it for personal purposes, you will have to pay bijtelling. Bijtelling, or Private Use Addition, is an extra sum added to your gross salary that will be settled in your annual income tax return. The addition is a settlement of your private use with the car costs of your company. However, if you drive the vehicle less than 500 km for personal use, no addition is required.
Car Insurance
There are three types of car insurance in the Netherlands:
- WA insurance (wettelijke aansprakelijkheidsverzekering): This is a third-party liability insurance and is required. It will cover any damage you might do to other cars when driving.
- WA coverage plus limited casco: This covers the damage you may cause to another car, but not the damage you cause to your own car. However, you will get reimbursed for damage to your vehicle caused by theft, collision with animals, storms, and window damage. This insurance is mostly used for five-to-10-year-old cars.
- All risk insurance: If you want your insurance to cover as much as possible and your car is younger than four years, all-risk insurance is for you.
Technical Test
All vehicles more than three years old must undergo an annual technical test called APK (algemene periodieke keuring). There is no fixed price for this test. If your vehicle does not pass the test, there is a grace period to fix any issues before the RDW withdraws your registration. You may appeal and submit a request for a retake if you do not agree with the APK outcome.
Electric Cars
Electric vehicles (EVs) are not only good for the environment, they are also more economical. The Dutch tax system is designed to favour cars that are less damaging to the environment and provides incentives for choosing environmentally friendly vehicles.
If you decide to go electric, you will need a charging point. Because of the popularity of EVs, there are more and more charging points appearing in Dutch cities. Be sure to only park at these charging stations if you’re using the charger. Regular parking rates apply if the charger is in a paid parking zone, unless otherwise stated.
If you want a charging station close to where you live, you can request one for free from your municipality.
Request a charging station in:
Once your vehicle is in the Netherlands or you have purchased a new car, you will also need a Dutch driving licence and a parking permit. Our resources will give you all the information you need to begin driving (and parking) in the Netherlands.